Listing:
=====
No. 1
99
Properties=species:S:1:pos:R:3:lowdin_charge:R:1 method="wB97M-V/def2-TZVPD" spin_multiplicity=4 charge=-1 e_tot_ha=-4086.03681 de_lowest_ev=0.098 max_force_ev_per_a=0.4 gap_ev="5.5 / 5.8" s2=3.8245
Cr -1.3899 -0.7479 -0.1050 0.42
C -1.7781 2.4122 -3.7416 -0.04
C -0.8495 1.2093 -3.5703 -0.36
C -0.0627 0.9406 -4.8532 -0.06
C 0.0774 1.4051 -2.4063 -0.25
C 1.1317 2.3301 -2.3664 0.03
C 1.7182 2.1558 -1.1313 -0.20
C 2.8373 2.9358 -0.5055 -0.36
C 3.6265 3.7151 -1.5521 -0.08
C 2.2626 3.8833 0.5476 -0.06
N 1.0400 1.1816 -0.4883 0.05
N 0.0235 0.7192 -1.2697 0.11
B 1.4461 0.4492 0.8109 -0.48
N 0.4044 0.6779 1.9324 0.07
N -0.8714 0.2819 1.6582 0.04
C -1.6210 0.5597 2.7199 -0.25
C -0.8154 1.1390 3.7033 0.02
C 0.4624 1.1959 3.1803 -0.18
C 1.6263 1.7435 3.9884 -0.34
C 1.3733 3.2143 4.3464 -0.06
C 3.0556 1.5775 3.4855 -0.07
C -3.0848 0.2660 2.8536 -0.40
C -3.3044 -0.8166 3.9093 -0.09
C -3.8468 1.5408 3.2132 -0.08
N 1.5756 -1.0663 0.5202 0.07
N 0.5009 -1.7865 0.0916 0.05
C 0.8886 -3.0530 -0.0054 -0.26
C 2.2394 -3.1610 0.3424 0.03
C 2.6359 -1.8848 0.6777 -0.20
C 3.9831 -1.4568 1.1844 -0.36
C 5.1005 -1.9667 0.2739 -0.07
C 4.1860 -1.9709 2.6132 -0.07
C -0.0086 -4.1796 -0.4236 -0.42
C -0.2247 -5.1450 0.7378 -0.08
C 0.5481 -4.8972 -1.6553 -0.07
H -2.4822 2.2412 -4.5597 0.08
H -2.3533 2.6054 -2.8355 0.07
H -1.2013 3.3128 -3.9700 0.08
H -1.4544 0.3331 -3.3698 0.10
H 0.5611 1.7965 -5.1221 0.07
H 0.5892 0.0737 -4.7330 0.08
H -0.7423 0.7498 -5.6867 0.08
H 1.4134 3.0296 -3.1343 0.11
H 3.5191 2.2362 -0.0145 0.12
H 2.9908 4.4517 -2.0480 0.08
H 4.4514 4.2540 -1.0825 0.08
H 4.0386 3.0556 -2.3170 0.08
H 1.6219 4.6277 0.0690 0.09
H 1.6494 3.3414 1.2660 0.06
H 3.0565 4.4070 1.0864 0.08
H 2.4990 0.8732 1.1481 0.09
H -1.1186 1.4577 4.6874 0.11
H 1.5674 1.1826 4.9280 0.14
H 1.4152 3.8441 3.4574 0.07
H 0.3944 3.3512 4.8028 0.07
H 2.1341 3.5689 5.0460 0.08
H 3.2685 2.2084 2.6227 0.06
H 3.7328 1.8753 4.2899 0.08
H 3.2864 0.5503 3.2144 0.05
H -3.4341 -0.1169 1.8965 0.06
H -2.9141 -0.5041 4.8826 0.07
H -4.3740 -1.0114 4.0186 0.08
H -2.8202 -1.7408 3.5943 0.03
H -3.5449 1.9223 4.1942 0.07
H -3.6800 2.3239 2.4755 0.04
H -4.9189 1.3344 3.2516 0.08
H 2.8418 -4.0544 0.3405 0.11
H 4.0230 -0.3679 1.1916 0.11
H 5.1044 -3.0579 0.2373 0.07
H 4.9792 -1.6000 -0.7460 0.08
H 6.0746 -1.6410 0.6450 0.07
H 4.2140 -3.0626 2.6162 0.08
H 5.1242 -1.6025 3.0348 0.08
H 3.3664 -1.6659 3.2649 0.08
H -0.9877 -3.7332 -0.6138 0.02
H 0.7204 -5.5722 1.0878 0.07
H -0.7084 -4.6216 1.5617 0.05
H -0.8759 -5.9637 0.4234 0.08
H 1.5010 -5.3815 -1.4214 0.07
H -0.1437 -5.6668 -2.0012 0.08
H 0.7322 -4.1903 -2.4685 0.07
Cl -6.2778 -0.2725 -5.0042 0.64
C -5.2605 -0.0096 -3.6073 -0.62
C -5.5121 1.0443 -2.7733 -0.19
C -4.7040 1.2860 -1.6516 -0.66
I -5.0491 2.9848 -0.5130 0.90
C -3.6264 0.4660 -1.3244 -0.44
O -2.8223 0.6385 -0.3400 -0.20
C -3.3786 -0.6322 -2.2291 -0.16
N -2.2701 -1.3661 -1.9443 0.00
C -1.9213 -2.3304 -2.7551 -0.11
C -2.6551 -2.6606 -3.9085 -0.03
C -3.7773 -1.9397 -4.2132 -0.02
C -4.1637 -0.8754 -3.3663 -0.17
H -6.3396 1.7057 -2.9902 0.09
H -1.0207 -2.8848 -2.5205 0.10
H -2.3175 -3.4736 -4.5357 0.10
H -4.3620 -2.1617 -5.0948 0.09
S -2.5446 -2.3735 0.8446 0.12

No. 2
26
Properties=species:S:1:pos:R:3:lowdin_charge:R:1 method="wB97M-V/def2-TZVPD" spin_multiplicity=1 charge=+2 e_tot_ha=-606.50684 de_lowest_ev=1.797 max_force_ev_per_a=5.6 gap_ev=6.6
C 3.6400 0.7544 -0.0064 0.05
C -3.5199 1.0293 0.3335 0.04
C 3.0239 -0.1568 0.8524 0.03
C -3.0132 -0.0599 -0.4054 0.08
C 2.8804 1.6054 -0.8105 -0.05
C -2.6395 1.8963 0.9040 -0.03
C 0.9845 0.5580 0.0224 0.00
C -0.9340 0.6604 0.1137 -0.10
C 1.0587 -1.0632 1.7163 0.07
C -1.2143 -1.2055 -1.4501 0.03
N 1.5857 1.4664 -0.7931 0.12
N -1.3375 1.6310 0.8610 0.17
N 1.6677 -0.2333 0.9524 -0.14
N -1.6772 -0.1446 -0.6456 -0.05
H 4.7267 0.8256 -0.0541 0.15
H -4.5821 1.1387 0.5570 0.15
H 3.6572 -0.6721 1.5537 0.15
H -3.6664 -0.7696 -0.9361 0.18
H 3.2830 2.1901 -1.5746 0.14
H -3.0467 2.7753 1.4973 0.18
H -0.0868 -0.9623 1.9418 0.14
H 1.7042 -1.9092 2.0910 0.13
=====

Exercise:
Give back the lines above from the one with "0.4044 0.6779" to the one with "1.6263 1.7435" without additions.

Worked solution:
N 0.4044 0.6779 1.9324 0.07
N -0.8714 0.2819 1.6582 0.04
C -1.6210 0.5597 2.7199 -0.25
C -0.8154 1.1390 3.7033 0.02
C 0.4624 1.1959 3.1803 -0.18
C 1.6263 1.7435 3.9884 -0.34